Source
+++
Here is a geometry-optimized Tb3PrEr2P6 structure from Alexandria via LeMat-Bulk. Energies are from PBE-GGA.

Values from the calculation:
Its crystal system is monoclinic. The spin magnetization comes out at 0.0 μB/cell. The value obtained for the energy relative to the elements is -19.0 eV/f.u. The density of states at the Fermi level comes out at 1.6 states/eV/f.u.

Cell lengths 6.997, 6.997, 6.998 Å; angles 99.59, 99.59, 120.00 degrees
Fractional positions:
Tb  0.000  0.000  0.000
Tb  0.335  0.665  0.000
Tb  0.665  0.335  0.000
Pr  0.500  0.500  0.500
Er  0.167  0.833  0.500
Er  0.833  0.167  0.500
P  0.075  0.416  0.249
P  0.243  0.243  0.750
P  0.416  0.075  0.249
P  0.584  0.925  0.751
P  0.757  0.757  0.250
+++
Wanted
Count the lines earlier on that contain the word "system" and give the number alone, please.
Reply
1